Minutes – BCTV Board of Directors Meeting – October 15, 2014 – FINAL
Respectfully submitted by Lynn Barrett
Board Attendees: Lynn Barrett, Joe Bushey, Steve Cormier, Martin Langeveld, Wendy Mason / Location: Hanna Cosman Room, BrattleboroMunicipalCenterAbsent: Beatriz Fantini / Call to order: 6:05 pm
Administration Attendees: Cor Trowbridge / Called to order by: Wendy Mason
Public Attendees: none / Adjourn: 8:03 pm
Agenda Topic / Motion/Action / Moved / Second / Discussion / Vote
M Minutes / Motion to approve the Minutes of September 17, 2014.
Motion to approve the Members and Board Meeting Minutes of October 1, 2014, as amended. / ML
LB / No changes.
- Add details of which award the montage won twice.
- Change “Reconvene” to “Convene”
Communications to the Board / None
Next Meeting / Wednesday, November 19 at 6 PM. Location: MarlboroGradCenter, Glass Room. / This will be a strategic planning session, with staff and key volunteers invited.
Public Input / None present.
ED Report / Cor Trowbridge reported on the month’s activities. / See attached report.
- Cor and Roland presented at the ACM-NE conference on October 10 about the use of broadband at BCTV.
- Stats are surprisingly low for all the excitement about the annual meeting.
- Cor reviewed highlights of the FY14 Annual Report. Feedback:
- Add streaming stats next year
- List Media Partners
- Nonprofit members affect membership numbers.
Finance Committee: / Motion to approve the FY14 Financial Statement as presented, subject to possible minor changes. / ML / LB /
- P&L: Income & expenditures are on track as of 9/30/14. Accrual figure is included from June 2013.
- Martin presented the Draft FY14 Financial Statement. Cor and Vlasta will meet with Pieciak & Co. on 10/22/14; there may be very slight re-categorization of capital expenditures.
- Form 990 will match the final statement and be signed by the Treasurer. Financial Statement and Form 990 are due to the State on 10/31/14 as part of the AMO Annual Report.
Old Business:
Annual Meeting Debrief / Promotion:
- Use Chamber e-Communique
- Reserve Chamber window for week prior to Annual Meeting
- Good to schedule it before Lit Fest.
- Used paid promo on FB – good.
- No newspaper coverage despite multiple press releases: award as Community Partners.
- Sign up as guest on radio shows
- Send out press release with awardees now.
- Future: monthly press show with Martin as moderator?
- Annual Report, Financial Report not done early enough - rushed.
- Still need a name for the awards.
- Red Carpet theme was more fun to promote last year.
- It worked!
- Now seek appointees. Bill Forchion is willing according to Tim Wessel.
- Worked fine
- Door prizes – did not work this time.
- Only four membership forms turned in – send reminder in newsletter.
- Food was in much better location, lots of it.
- Ask present and past board members to come up front to be acknowledged – can’t see them in the dark. And/or put their photos on the screen.
- TV monitor needs to be 18” higher. Hard to see from back.
- Demos and screencasts good as part of State of Station – visuals popular.
== The entry is interrupted by data records ==
=====
Record 1
Simulated X-ray diffraction stick pattern
Compound: Ho3Th2In3
Radiation: CuKα
Structure: a DFT-relaxed cell (GGA-PBE, Alexandria)

Top 12 peaks for 15 to 90 degrees two-theta, in order of rising 2θ:
two_theta, I/Imax, hkl
31.36, 27, 0 0 8
32.54, 28, 0 2 0
33.51, 100, 1 1 4
45.82, 19, 0 2 8
50.33, 8, 2 0 0
57.20, 18, 1 1 12
58.68, 20, 1 3 4
60.51, 8, 2 0 8
61.22, 9, 2 2 0
70.41, 11, 2 2 8
76.83, 8, 1 3 12
83.66, 8, 3 1 4

Structure:
Cell lengths 3.6259, 5.5033, 22.8218 Å; angles 90.00, 90.00, 90.00 degrees
Space group Immm (No. 71)
One atom of each set of equivalent atoms:
Ho  0.0000  0.0000  0.0000 [2 per cell]
Ho  0.0000  0.5000  0.1194 [4 per cell]
Th  0.0000  0.0000  0.2408 [4 per cell]
In  0.0000  0.0000  0.5000 [2 per cell]
In  0.0000  0.5000  0.3816 [4 per cell]

Record 2
Simulated X-ray diffraction stick pattern
Compound: Ho8Th2In
Radiation: CuKα
Structure: a DFT-relaxed cell (GGA-PBE, Alexandria)

Top 12 peaks for 15 to 90 degrees two-theta, in order of rising 2θ:
two_theta, I/Imax, hkl
31.30, 25, 5 1 -1
31.64, 58, 0 0 2
32.11, 86, 2 2 -1
32.26, 49, 5 1 1
32.52, 100, 6 0 -1
32.78, 52, 4 2 0
33.65, 28, 6 0 1
36.52, 23, 7 1 0
54.18, 17, 0 4 0
56.40, 25, 2 2 -3
57.36, 22, 8 2 -2
64.13, 18, 0 4 2

Structure:
Cell lengths 18.5093, 6.7712, 5.6596 Å; angles 90.00, 92.22, 90.00 degrees
Space group C2/m (No. 12)
One atom of each set of equivalent atoms:
Ho  0.0497  0.0000  0.2353 [4 per cell]
Ho  0.1251  0.2366  0.7457 [8 per cell]
Ho  0.1702  0.5000  0.2313 [4 per cell]
Th  0.2223  0.0000  0.2641 [4 per cell]
In  0.0000  0.5000  0.0000 [2 per cell]
=====
- Montage – excellent
- Producer awards – got process right. Transcribe awardee quotes for posters, newsletter, press release.
- Member Business – move this section up after State of the Station; means voting closes at beginning of meeting. Member Comments go after Producer Awards.
- Be aware of bylaw requirement for member quorum for voting.
Contract Renewal Update /
- Cor reported from a recent conference that this renewal requires more of a documentation of strategic plan than an extensive assessment process. The Board decided not to form a separate Contract Committee as previously planned, but will serve as the Committee themselves.
- Building on the Board and Staff retreats held last Spring, Martin will lead a strategic planning process in lieu of the next board meeting on November 19, from 5:30 – 8:00 pm at the MarlboroGraduateCenter. Cor will invite staff and key volunteers.
New Business:
VT Open Meeting Law – updates & implications for BCTV /
- Cor handed out “Open Meeting Law FAQs” and reviewed recent updates to the Law.
- BCTV is a private nonprofit that has chosen to be guided by the Open Meeting Law, but is not required to do so. Cor will draft a transparency policy for the December meeting.
- Meetings of the board are open to the public, as they always have been, and are warned according to the Open Meeting Law.
- Cor will post minutes to the website, which meets one of the new requirements.
BCTV Board Committees 2014-15 / The Board updated the Committee list from last year.
Adjournment / Motion to adjourn at 8:03 pm / ML / LB / 5-0-0
10-15-14 BCTV Board Meeting Minutes, p. 1